Bodyweight Strength Philosophy – Part 3

Bodyweight Strength Philosophy – Part 3 This will be the final and third part to “Bodyweight Strength Philosophy”. I want to talk about how the fittest men in the world train. If you look at how the fittest men in the world train, you need to first decide what is being physically fit? Physically fit is not treadmill walking or spending all you’re gym time bench pressing. Going to … [Read more...]

Bodyweight Strength Philosophy – Part 2

Bodyweight Strength Philosophy – Part 2 I will start off by saying that whether you lift weights or use your bodyweight if you want to gain weight and muscle you need to take in more calories, if you want to get leaner you burn more calories, you can get learner lifting weights and you can get leaner using your own bodyweight. When I was younger and lifted heavy weights and was bench … [Read more...]

Bodyweight Training – Pushup 300

Bodyweight Training – Pushup 300 A long time ago I heard of a boxer that would challenge his friends to try and do 300 pushups in 5 minutes. This is doing a lot of pushups in a short period of time. The world record for the most pushups in 5 minutes is 441 pushups. These are staggering numbers and I can hear it now, that it's impossible to do that many, they are probably not doing them … [Read more...]

No. 1
HfTa4Mn5 | PBE | optimized geometry

Output
For the energy of formation from the pure elements, the calculation gives -232 meV/atom. For the total energy, the calculation gives -10.55 eV/atom. The calculation puts the density at 13.39 g/cm3.

Cell and atoms, written as CIF:
```
data_HfTa4Mn5
_space_group_name_H-M_alt 'P 4/m m m'
_space_group_IT_number 123
_space_group_name_Hall '-P 4 2'
_cell_length_a 3.076
_cell_length_b 3.076
_cell_length_c 15.428
_cell_angle_alpha 90.00
_cell_angle_beta 90.00
_cell_angle_gamma 90.00
loop_
_atom_site_label
_atom_site_fract_x
_atom_site_fract_y
_atom_site_fract_z
Hf1 0.000 0.000 0.000
Ta1 0.000 0.000 0.202
Ta2 0.000 0.000 0.401
Mn1 0.500 0.500 0.107
Mn2 0.500 0.500 0.303
Mn3 0.500 0.500 0.500
```



No. 2
LiDy2Lu | PBE | optimized geometry

Output
For the energy of formation from the pure elements, the calculation gives 75 meV/atom. For the total energy, the calculation gives -3.84 eV/atom. The calculation puts the density at 7.53 g/cm3. As for the energy above the most stable polymorph in this dataset: 0.0 meV per atom.

Cell and atoms, written as CIF:
```
data_LiDy2Lu
_space_group_name_H-M_alt 'P 4/m m m'
_space_group_IT_number 123
_space_group_name_Hall '-P 4 2'
_cell_length_a 3.570
_cell_length_b 3.570
_cell_length_c 8.768
_cell_angle_alpha 90.00
_cell_angle_beta 90.00
_cell_angle_gamma 90.00
loop_
_atom_site_label
_atom_site_fract_x
_atom_site_fract_y
_atom_site_fract_z
Li1 0.000 0.000 0.000
Dy1 0.500 0.500 0.228
Lu1 0.000 0.000 0.500
```



No. 3
Ta4Nb2Rh | PBE | optimized geometry

Output
For the energy of formation from the pure elements, the calculation gives 1178 meV/atom. For the total energy, the calculation gives -9.52 eV/atom. The calculation puts the density at 11.04 g/cm3. As for the energy above the most stable polymorph in this dataset: 1192.1 meV per atom.

Cell and atoms, written as CIF:
```
data_Ta4Nb2Rh
_space_group_name_H-M_alt 'I 4/m m m'
_space_group_IT_number 139
_space_group_name_Hall '-I 4 2'
_cell_length_a 4.761
_cell_length_b 4.761
_cell_length_c 13.436
_cell_angle_alpha 90.00
_cell_angle_beta 90.00
_cell_angle_gamma 90.00
loop_
_atom_site_label
_atom_site_fract_x
_atom_site_fract_y
_atom_site_fract_z
Ta1 0.000 0.000 0.190
Ta2 0.000 0.500 0.000
Nb1 0.000 0.000 0.383
Rh1 0.000 0.000 0.000
```



No. 4
V2SbSI | PBE | optimized geometry

Output
For the total energy, the calculation gives -4.75 eV/atom. The calculation puts the density at 4.44 g/cm3. The value obtained for the uncorrected formation energy is 858 meV/atom.

Cell and atoms, written as CIF:
```
data_V2SbSI
_space_group_name_H-M_alt 'P 4/m m m'
_space_group_IT_number 123
_space_group_name_Hall '-P 4 2'
_cell_length_a 5.354
_cell_length_b 5.354
_cell_length_c 4.989
_cell_angle_alpha 90.00
_cell_angle_beta 90.00
_cell_angle_gamma 90.00
loop_
_atom_site_label
_atom_site_fract_x
_atom_site_fract_y
_atom_site_fract_z
V1 0.000 0.500 0.000
Sb1 0.000 0.000 0.000
S1 0.000 0.000 0.500
I1 0.500 0.500 0.500
```



No. 5

Bodyweight Training – The Hated 8-Count Bodybuilders

The Hated 8-Count Bodybuilders Many think that it takes a complicated well thought out plan to get in great physical shape the fact is that the more time you spend making your training more complicated the less time you spend training. Look at most training plans, most experts give you anywhere from 8 to 15 different exercises in any given workout and unless someone shows me that … [Read more...]

Your Body Is Your Kingdom

Fitness guru and legend Jack Lalanne said " Exercise is King, Nutrition is Queen" I believe the above saying to be true, it's hard to have one with out the other. It's no good to exercise and then sit down and eat unnatural foods. It also makes no sense to eat good and let your muscles get soft and weak from lack of exercise. Many men and women will have you believe that it's okay to eat … [Read more...]

Mental Weakness

There is so much more to training then just physical training. Most have no idea what it's like to push farther then they have to. The fact, You will never improve or get what you want unless you learn to have a little mental toughness, you need to learn to push through the pain, to sweat and do what ever it takes to get to the point you want to be. Attitude is the biggest factor. If you … [Read more...]

Bodyweight Training -The Bear Crawl Effect

The Bear Crawl Effect Bear Crawls are an exercise that doesn’t get a lot of attention and has been around for many, many years. I first was exposed to them in high school football. But, I remember doing them as a kid and racing my brother. Little kids do these exercises and we don’t even take a second look. Plain and simple Bear Crawls will build a rugged body. Bear Crawls are a … [Read more...]

Bodyweight Training Philosophy

Bodyweight Training Philosophy Why do I feel bodyweight training is the ultimate way to train for getting into great shape, burning fat, getting strong and becoming athletic? One word, RESULTS! After spending many years in the gym and doing whatever it took to get bigger and stronger through the use of food (over eating) buckets of weight gain and gallons of whole milk, supplements and … [Read more...]

Labor Strong-Gym Weak Part 3

Labor Strong-Gym Weak Part 3 He is the million dollar question. If going to the gym will make you stronger than a laborer then why is every man and gym trying to imitate the way a laborer works? But to be cleaver the experts call it functional fitness or functional strength. No matter how you look at it, it’s copying the way of the laborer. Like martial arts that copy animal forms and … [Read more...]

Labor Strong- Gym Weak Part 2

Labor Strong- Gym Weak Part 2 The gym is a big social and ego event for most men and a place to look at women the gym is full of mirrors and nice state of the art equipment with all the new technologies. Here’s a question why do you new technology while walking on a treadmill? It’s just walking, get over yourself. Now look around the gyms what are men really doing to build real strength? The bench … [Read more...]